That remark, boiled down to its most prosaic formulation, suggested that when Ryan had his control he was unbeatable, and when he didn't he wasn't. Sounds like good advice (but that didn't stop Linda Ronstadt from loving some sweet-talking heartbreaker in a what seemed like an endless series of lachrymose ballads...) as well as a large dollop of early sabermetric common sense.
There were numbers in the formulation that went something like this: 5+ walks in a game, struggle; 3 or less walks, unbeatable. But as with many of the binary formulations that informed early efforts (and that are still, how shall we say..."psychologically influential" even today) to deconstruct baseball statistics, this one doesn't really stand up to a full sniff test.
But it does lead us into some interesting areas that aren't quite as settled as the heterodox orthodoxy would have us believe. (Cue up the music, folks...it's QMAX time again!)
It turns out that when we break out Ryan's career starts (all 773 of them, available one by one at Forman et fil), the idea that he was unbeatable when he had better control is roughly three-fourths true.

First, there's the raw interest in knowing exactly how many games with various amounts of walks allowed--Ryan has been retired for twenty years now, but he's still one of the most indelible presences on the mound (even if he's nowhere near the level of the all-time greats).

In fact, it's downright weird to discover that Ryan's ERA in games where he walked five or more batters is lower than it is in games where he walks three or four batters.

And there's no better place to examine that discrepancy between the predicted and the actual than in the region of the QMAX chart (as you'll see in the many matrix breakouts that show the shape of Ryan's start distributions by the number of walks/game) in the upper right corner.

QERA suggests that Ryan has gotten some breaks in terms of what that ERA ought to be as well, but it's nowhere near that divergent. This is because QERA, using the QMAX "S" and "C" values to calibrate the relative importance of hit prevention and walk prevention, does not throw out ninety percent of the hits based on a modeling assumption or sixty percent of the outs that involve a fielding play.
FIP makes an assumption about how baseball works and applies it monolithically to a model that suggests that the weighted average of the "true outcome" events is sufficient to characterize quality. That is not without some value, but it's clear that certain combinations of those events produce serious discrepancies with the actual results in the games where those event combinations occur.
That doesn't completely invalidate it, but it points out that these mega-modeling methods are not nearly as robust or as granular as they have been claimed to be.
The chain of QMAX charts that have been running down the right side for awhile now give us a glimpse as to how the shape of performance is distributed across walks/game. Ryan proves a general rule that has been jettisoned in the FIP concept: the more walks a team draws, the fewer hits they will make. (Of course, there are clearly exceptions in individual games; but the available data for this is now vast and as you move rightward on the QMAX grid--even in those regions where the pitcher is being hit hard, in the 5, 6, 7 "S" areas--the hits/9 IP declines.

(Next to the piece, the page also holds quantum chemistry results)
____________
This record from the OMol25 dataset describes the molecule C5H12N2 at a distorted geometry. The level of theory is ωB97M-V/def2-TZVPD.

```
19
Properties=species:S:1:pos:R:3:forces:R:3:nbo_charge:R:1
C -1.964539 -0.019759 -1.688116 0.629 -0.430 0.106 -0.607
C -2.109219 -0.148544 -0.164438 0.542 0.347 -1.167 -0.383
C -0.849571 -0.729065 0.491974 -1.376 0.681 1.070 -0.405
C 0.291686 0.271111 0.501109 0.853 -0.432 -1.433 -0.247
N 3.199091 0.142432 0.255078 -0.906 -0.681 1.583 -0.859
C 2.450454 0.184195 1.437528 0.416 1.091 -0.023 0.287
N 1.199955 0.184389 1.620289 -0.182 -0.322 0.192 -0.478
H -1.733376 -0.983046 -2.155783 -0.183 -0.083 0.131 0.196
H -1.093137 0.596162 -1.908258 -0.139 0.322 -0.202 0.194
H -2.850262 0.373604 -2.176579 -0.050 0.212 0.008 0.209
H -3.005445 -0.728996 0.017612 -0.099 -0.118 0.473 0.202
H -2.214607 0.871625 0.210174 -0.429 -0.112 0.289 0.193
H -1.133050 -0.906204 1.530344 0.199 -0.262 0.141 0.214
H -0.603397 -1.683445 0.039397 0.347 -0.125 -0.053 0.198
H 0.771141 0.132285 -0.476326 0.358 -0.018 -0.075 0.142
H -0.000571 1.322564 0.425878 -0.643 -0.083 0.405 0.200
H 3.917907 0.841854 0.271776 0.171 -0.126 -0.858 0.396
H 2.653613 -0.143969 -0.535603 0.494 0.633 -0.632 0.389
H 3.073325 0.422807 2.303943 -0.004 -0.494 0.045 0.156
```
Positions in Å, forces in eV/Å.

Summary:
Net charge: 0
Max |F|: 0.0379 hartree/bohr
Relative energy (zero: lowest compared OMol25 entry of this formula, charge and spin): 100.4 kJ/mol
SMILES: CCCC/N=C\N
M: 100.2 g/mol
HOMO energy: -0.3368 Eh
LUMO level: 0.960 eV

This record from the OMol25 dataset describes a structure of composition C22H22N3O3PdS4. The level of theory is ωB97M-V/def2-TZVPD.

```
55
Properties=species:S:1:pos:R:3:forces:R:3:nbo_charge:R:1
Pd 2.936430 0.361323 0.594646 0.046 0.064 0.066 0.499
C -3.474068 -1.999197 1.730123 0.005 -0.007 -0.004 -0.252
O -3.769597 -0.883148 0.886345 -0.014 0.004 -0.001 -0.535
C -3.321810 -1.069708 -0.404112 0.045 0.016 -0.008 0.228
C -4.065301 -1.792279 -1.315825 -0.009 -0.004 0.006 -0.239
C -3.592263 -1.990456 -2.606800 -0.009 -0.003 0.001 -0.251
C -2.359244 -1.467243 -2.958977 0.008 0.003 -0.007 -0.189
C -1.609398 -0.732993 -2.050202 0.013 0.014 0.014 -0.294
C -2.089742 -0.504558 -0.762195 -0.050 -0.049 -0.011 0.211
N -1.423249 0.249336 0.207231 0.012 0.003 0.024 -0.653
C -0.063358 0.587894 0.087151 0.027 0.040 0.054 0.633
N 0.149897 1.506643 -0.862606 0.000 0.032 -0.004 -0.593
C 1.348489 2.070135 -1.352899 0.011 -0.066 0.039 0.104
C 2.630981 1.724752 -0.912119 -0.030 0.107 -0.020 -0.237
C 3.658599 2.476078 -1.513877 0.007 -0.044 0.014 -0.250
C 3.444585 3.454545 -2.470115 -0.011 0.019 -0.023 -0.219
C 2.157834 3.748515 -2.899256 0.013 -0.004 0.002 -0.286
C 1.120303 3.045854 -2.334384 -0.019 0.010 -0.026 0.218
O -0.197907 3.309859 -2.709919 0.015 -0.006 0.004 -0.547
C -0.545157 2.702584 -3.945903 -0.007 -0.002 -0.010 -0.241
N 0.852491 0.077427 0.840187 -0.102 -0.122 -0.089 -0.584
C 0.426670 -0.995196 1.682311 0.025 -0.010 0.039 0.194
____________
(The piece goes on)

The QMAX range summaries tell us a bit more in this regard. Note, for example, how consistent Ryan's "top hit prevention" (the S12 rows from left to right across the QMAX chart) are all the way across the walks/game spectrum. The fact that he gets into that range--even if it's over on the right of the QMAX diagram (and above you can see the rightward drift as his walks/game rises)--is what allows him to remain a successful pitcher even when he is having major control problems.
Note that Ryan is hit hardest when he walks three men in a start (24%). Note that his Power Precipice percentage jumps sharply in the 3-5 walks/game range--it increases nearly fivefold.

Finally, here are the ERA values for each cell on Ryan's QMAX chart. (This is for his entire career, all 773 starts). You see how there's a strong tendency for him to sustain success in the upper right corner, while he struggles more in the middling regions of the chart. He is clearly a below-average pitcher when he pitches in the outer reaches of the success square (the 3,3-3,4-4,2-4,3 area): pitchers with less "stuff" and more "control" have less of sharp break there. Also, he's only intermittently successful in the "Tommy John" region (the one at lower left, where control pitchers manage to thrive despite giving up more hits than innings pitched). When he's giving up hits, he's really in trouble, even in those areas of the chart where most other pitchers manage to be successful.
The other sharp break here is between "2S" and "3S." Ryan fades as badly in the rightward movement across the "3S" and "4S" zones as anyone we've seen.
So what's clear from all this? Pitchers like Ryan, who are hard to hit and who have an intermittent kind of wildness, can be just about as successful in the outer reaches of wildness as they are in their more conventionally "great" performances (the ones in the yellow four squares at top left, the region we call the "Elite Square"). Once Ryan moves into more conventional hit/game regions, he becomes much less effective when his control deserts him--much more like a normal pitcher. One of these days we'll put the FIP values up for a chart like this--and that might turn out to be the best way to spot-check the value of that highly-ballyhooed stat: we just might find that there's a pattern to what it predicts well in terms of actual results, and what it does not. Stay tuned.